Listing >
********
For Li3FeBAsO7, a structure optimized by DFT (PBE+U) gives the simulated X-ray powder pattern in this record (Cu Kα (weighted mean of Kα1 and Kα2)).
Lines closer than 0.1° are merged.

Peak list (10 most intense, 2θ from 15° to 90°, in order of falling intensity)
(0 2 0), d 3.299, intensity 1000; (1 0 -1), d 4.504, intensity 541; (1 0 -2), d 3.386, intensity 503; (1 1 1), d 3.572, intensity 460; (1 0 1), d 4.248, intensity 410; (2 0 0), d 2.542, intensity 271; (0 1 3), d 2.616, intensity 271; (1 1 2), d 2.858, intensity 255; (2 0 -1), d 2.482, intensity 192; (0 2 1), d 3.078, intensity 186

Structure:
```
Li3FeBAsO7
1.0
5.095 0.000 0.000
0.000 6.598 0.000
-0.571 0.000 8.558
Li Fe B As O
6 2 2 2 14
direct
0.237 0.014 0.279
0.237 0.486 0.279
0.262 0.250 0.585
0.738 0.750 0.415
0.763 0.514 0.721
0.763 0.986 0.721
0.219 0.750 0.819
0.781 0.250 0.181
0.277 0.750 0.536
0.723 0.250 0.464
0.277 0.250 0.921
0.723 0.750 0.079
0.022 0.750 0.590
0.149 0.250 0.101
0.182 0.053 0.799
0.182 0.447 0.799
0.339 0.750 0.384
0.387 0.750 0.038
0.480 0.750 0.658
0.520 0.250 0.342
0.613 0.250 0.962
0.661 0.250 0.616
0.818 0.553 0.201
0.818 0.947 0.201
0.851 0.750 0.899
0.978 0.250 0.410
```


Entry 1:
This entry pairs a crystal structure of LiCr2P2O8 with its calculated powder X-ray diffraction pattern. Radiation: copper Kα. Structure: a crystal structure in Alexandria, relaxed with PBE+U.
Peak positions follow from Bragg's law for the DFT cell and can differ from measured ones.

abc: 6.023 6.359 9.626
angles: 89.74 73.06 82.61
Sites, in units of the cell vectors:
Li (0.215, 0.012, 0.168)
Li (0.785, 0.988, 0.832)
Cr (0.065, 0.505, 0.217)
Cr (0.352, 0.693, 0.445)
Cr (0.648, 0.307, 0.555)
Cr (0.935, 0.495, 0.783)
P (0.183, 0.224, 0.472)
P (0.258, 0.288, 0.884)
P (0.742, 0.712, 0.116)
P (0.817, 0.776, 0.528)
O (0.024, 0.215, 0.870)
O (0.038, 0.680, 0.399)
O (0.114, 0.243, 0.329)
O (0.240, 0.313, 0.049)
O (0.242, 0.508, 0.807)
O (0.260, 0.000, 0.504)
O (0.377, 0.366, 0.466)
O (0.492, 0.157, 0.809)
O (0.508, 0.843, 0.191)
O (0.623, 0.634, 0.534)
O (0.740, 0.000, 0.496)
O (0.758, 0.492, 0.193)
O (0.760, 0.687, 0.951)
O (0.886, 0.757, 0.671)
O (0.962, 0.320, 0.601)
O (0.976, 0.785, 0.130)

Main lines, sorted by position (10° ≤ 2θ ≤ 80°):
two_theta  intensity  index
14.05  100  0 1 0
19.54  65  1 1 0
19.91  37  1 1 1
28.26  66  1 0 -2
29.11  57  0 0 3
31.47  36  2 1 1
32.93  38  -1 1 2
33.91  38  0 2 -2



Entry 2:
This entry pairs a crystal structure of LiCr2P2O10 with its calculated powder X-ray diffraction pattern. Radiation: copper Kα. Structure: a crystal structure in Alexandria, relaxed with PBE+U.
Peak positions follow from Bragg's law for the DFT cell and can differ from measured ones.

abc: 6.842 7.070 7.897
angles: 90.47 90.67 117.36
Sites, in units of the cell vectors:
Li (0.000, 0.000, 0.000)
Li (0.488, 0.972, 0.496)
Cr (0.057, 0.309, 0.672)
Cr (0.057, 0.813, 0.686)
Cr (0.552, 0.771, 0.173)
Cr (0.563, 0.271, 0.183)
P (0.040, 0.554, 0.023)
P (0.076, 0.040, 0.340)
P (0.543, 0.543, 0.522)
P (0.573, 0.029, 0.839)
O (0.031, 0.203, 0.444)
O (0.034, 0.528, 0.625)
O (0.061, 0.377, 0.919)
O (0.078, 0.060, 0.759)
O (0.164, 0.922, 0.457)
O (0.240, 0.146, 0.193)
O (0.260, 0.703, 0.113)
O (0.361, 0.877, 0.739)
O (0.371, 0.442, 0.665)
O (0.469, 0.680, 0.409)
O (0.537, 0.194, 0.943)
O (0.538, 0.536, 0.121)
O (0.569, 0.368, 0.424)
O (0.574, 0.040, 0.256)
O (0.662, 0.907, 0.955)
O (0.736, 0.126, 0.690)
O (0.759, 0.696, 0.613)
O (0.866, 0.889, 0.239)
O (0.872, 0.452, 0.167)
O (0.969, 0.695, 0.917)

Main lines, sorted by position (10° ≤ 2θ ≤ 80°):
two_theta  intensity  index
18.27  44  1 0 -1
18.60  100  1 0 1
18.72  49  1 -1 1
26.89  43  0 1 2
27.62  72  1 -2 1
27.77  97  -1 2 1
29.40  99  2 0 0
********

To do >
Next, work out how many lines further up have the word "optimized" in them; a number is enough.

Response >
1